Today is Friday the 13th and I have just finished my tax return and mailed it in, 2 or 3 days early, or whatever. The deadline is not Titanic Day this year, but the 17th for some reason.
It occurs to me that I may have paid more taxes than a few multimillionaires might have paid. As long as they didn't cheat or break the law, why should I care? I KNOW I paid more federal taxes than about 50% of Americans, because about 50% of Americans pay no federal taxes at all.
This is not about somebody's idea of what "fair" means. It is about following the tax code and getting on with your life for the rest of the year. If it is not fair, then it is not the fault of the rich but of our congressional tax code authors and President Obama's tax code enforcers.
Some people speak of "tax avoidance" as if it were a dirty cheating thing; that people who pay a lot of taxes should pay even more. There's nothing illegal or wrong about avoiding taxes. All Americans have the legal right to arrange their financial affairs in such a manner as will allow them to pay the least tax. The government uses, and has always used, the federal tax code to direct its social agenda. No problem. If the government wants low-income housing built, it gives tax breaks to those willing to build low-income housing. If it wants to promote green energy, then it gives tax breaks to people who put those odd solar panels on their roof. If the government wants investors to search for natural gas deposits, it gives tax breaks for those who take those risks. If the government wants to subsidize mortgages for low-income people who shouldn't have mortgages at all, then it gives tax breaks to rich folks who invest (put their capital at risk) in mortgages and derivatives and bonds and maybe let them play the hedge fund game or artificially inflate the spot-price of crude oil. Cool. Always has it been thus. Those who don't do it, angrily call these things "tax loopholes." But they are angry at the wrong people.
"Tax evasion" on the other hand is a crime and should land the evader in prison. Tax evasion is cheating and lying. Tax evasion includes such things as saying you earned $12 last year when you really earned $2 million.
A lot of the non-wealthy in the USA (those who take in a lot of welfare money and other entitlement monies, but who don't pay any income taxes at all, per the above) think that the rich should pay even more taxes so (I assume) the non-producers and actual needy can receive a higher dole. I mean "entitlement". Of course. Beats the hell out of actually paying some taxes yourself, right? President Obama has made a political career out of playing the two against each other, taking donations from fat cat corporations while telling the tax recipients, his political base, that he is fighting for the "working man" (meaning them, even though they don't work) and promoting class warfare against the rich. Cool. That's the American way. At least it seems to be the NEW American way. Occupy Wall Street, right? After all, it is the fault of the people who educated themselves, worked hard, played by the government's tax rules, and got rich, who are at fault for YOU not educating yourself, working hard, following the tax rules, and getting rich. Who could argue with that logic?
In the U.S., the tax code (rules) for the federal income tax rates are written by Congress. It is possible that this is true in other countries as well; perhaps their Parliaments write the tax laws rather than, say, their Chancellor of the Exchequer.
If you don't like what rich people pay in taxes, or if you don't like the way the government directs the economy (by offering tax deductions in the tax code for for various things) then it seems to me the thing for you to do would be to attack Congress and the President to make tax code changes and enforcement standards, and stop bitching at the people who follow the legal tax code. Do YOU want to volunteer to pay taxes you don't owe? Neither do the rich.
If you think the rich should pay 60% off the top of everything they take in, then you should force Congress to change the tax code so that's what the law says. Don't bitch at the producers or go occupy some little park near Wall Street. Personally, I don't get offended when I see some investor pay 15% capital gains tax instead of 100%. I get offended when I see the unemployed wink on camera and say, "I've never worked in my life, and I don't intend to start working now."
How offended would you be if someone suggested you get down off the wagon and maybe helped the rest of us pull it?
Since I pay taxes, does that mean I can or can't bitch. Not entirely clear from a somewhat rambling diatribe.
ReplyDeleteIs our government responsible for the fact those with the most money can come out relatively unscathed by taxes? Yes. Is the government responsible for the fact that, despite the lessons of the past century, rich people can rig the market for their own benefit and the pain of millions of others? Yes. That when wealthy people gamble, they aren't the ones suffering from the results. Yes.
And it's a problem worth complaining about, because our system (same government) allows it's politicians to be shamelessly and legally bribed to preserve those interests. And have rigged the system so that the people, who are supposed to be represented, can't fix it, almost short of revolution.
And, despite your use of him numerous times as if he had instigated this little situation all alone, this is much older than Obama.
Just sayin'.
You really like that word a lot, don't you? Diatribe. You use it whenever you can't quite rebut the premise of a post with which you disagree so very much. Demean the messenger.
ReplyDeleteAgain I invite you to look the word up in the dictionary. I do have strong opinions. My arguments are forceful and often not PC. But never bitter. Which is what a diatribe requires.
Why don't you attack the content instead of the style? Is it because you hate the law-abiding rich so much? Don't you just HATE it when they are allowed to keep their money when there are so MANY people who are more DESERVING of it? Wouldn't YOU like to be the one in charge of the redistribution?
I would like to see the smart, hard-working wealthy keep MORE of the money they've been smart enough and hard working enough to generate. I would like to see the capital gains tax lowered to ZERO! Done away with. In fact I would like the Republicans to abolish the income tax completely tomorrow. No. Tonight. Let only people who buy things pay taxes.
I mention Obama, not because all the previous bastards haven't done just as badly, but simply because he is currently in charge of making things better and he only blames instead of acts. You think I liked Bush? This has been going on forever and Obama is only the current in a long line of soul-sellers who won't put their country first.
I'll tell you what, though. If the Republicans get control of the Senate this fall, Obama is going to have to start working with people, like it or not. Compromise. Ouch. Else he will spend his second term as a do-nothing President.
You know in your heart it is congress' fault and not the rich that the tax code is not correct or fair. And that is the same thing as admitting I am right.
Try to come up with something more helpful and responsive instead of attacking a messenger whose message you can't bear.
PS - Yes you can bitch. Anyone can bitch if they pay taxes or if they don't pay taxes. Be my guest. Unless you are one of those mindless Teabaggers whose opinions are so stupid. Then just be quiet.
ReplyDeleteHang the rich!
ReplyDeleteAdullamite? Hang the rich? Then what would you do to survive? Please give this further thought. :)
ReplyDeleteI do agree that we can't complain that people can take advantage of tax loopholes to avoid paying much tax. It's up to the government to sort that out, and they should.
ReplyDeleteJust one thing I'd point out. I don't believe all those rich tax avoiders all know how to avoid taxes. I feel sure that they employ smart accountants and lawyers to set it all up for them. Of course, you could say they are putting money back into the economy by paying those people.
I wouldn't be surprised, though, if there are many people who could take advantage of similar loopholes but don't earn enough to make it worthwhile paying someone to find out how and/or to set it up.
The rich can afford accountants and financial planners. This is not unfair, this using of planners. And the poor who can't do the loopholes (the legal opportunities afforded in the tax code)? Well, the poor don't pay taxes anyway. Usually it is the loophole complainers who choose not to be bothered with arranging their financial affairs to not owe as much tax. I don't know about the British tax system. Probably the rich should pay a lot more taxes there. Thank you for being so agreeable.
DeleteI wouldn't say the rich are putting money back into the economy by paying tax advisors. I would say they are putting money back into the economy by paying for the entitlements of poor people who buy food and drink with it. Especially drink.
I am so astounded that you made a comment on this controversial subject that I am not able to adequately respond to your logical points. That's why I cam bouncing from wall to wall. :)
Just so you have some perspective because I know you think we're all lefties, in France they are about to hold presidential elections and one of the candidates is suggesting a 100% tax on earnings over 300,000 euros. Yes, take ALL you earn over that amount.
DeleteSo you see, we could be worse.
That will be a way to get all the French rich to leave France. I wonder who will pay this idiot politician's followers then.
~~~
1.
A cluster of 3 separate species, C37H33BrClO10P in total in a non-equilibrium geometry, computed with ωB97M-V with the def2-TZVPD basis set.

```
83
Properties=species:S:1:pos:R:3:forces:R:3
C 9.1113 0.9078 1.7406 0.30 1.39 -1.05
O 7.8338 0.4663 2.2479 1.13 -1.42 -0.54
C 7.7758 -0.9607 2.4367 -0.54 -1.44 0.44
C 6.3290 -1.5948 2.0890 -0.29 -0.08 0.61
C 5.1403 -0.9161 2.9493 1.88 0.10 0.36
O 3.8146 -1.2675 2.4030 -2.07 1.91 1.06
P 2.5949 -0.4761 3.3138 2.09 -1.99 5.37
O 2.9232 -0.6911 4.8103 -1.20 0.85 -4.25
O 1.0741 -1.1671 3.0461 3.68 1.82 -1.60
C 0.7853 -1.3685 1.6261 -2.32 -0.93 -1.11
C -0.7784 -0.9522 1.4231 -0.21 0.30 1.03
C -1.5841 -1.0556 2.8325 0.89 0.33 -0.32
Br -3.5279 -0.6648 2.4955 1.11 -0.29 0.15
O 2.6749 1.1981 3.0170 -1.86 -2.30 -0.95
C 1.3703 1.8018 2.8748 -1.06 1.73 -0.37
C 1.5661 3.3294 2.3591 0.00 2.58 3.24
O 1.4566 4.3143 3.1325 0.65 -4.71 -3.96
Cl 2.0010 3.5062 0.5607 -0.47 -0.21 1.93
H 8.8815 1.7504 0.9830 0.36 -1.27 1.21
H 9.6983 0.1199 1.1630 -0.92 0.73 0.88
H 9.7921 1.3710 2.5289 -0.98 -0.82 -0.70
H 8.0407 -1.2454 3.5270 -0.46 0.60 -1.50
H 8.5249 -1.5509 1.7893 -0.98 1.17 0.75
H 6.1124 -1.5920 0.9636 0.33 0.19 1.65
H 6.3941 -2.6892 2.4554 -0.10 1.61 -0.83
H 5.2713 -1.3217 4.0197 -0.63 0.80 -1.62
H 5.2526 0.2185 2.9517 -0.10 -1.50 -0.02
H 1.4779 -0.8073 0.9159 -0.86 -0.62 1.04
H 0.8306 -2.4879 1.3875 0.33 1.59 0.49
H -0.8526 0.1500 1.0943 -0.06 -1.82 0.20
H -1.3232 -1.6657 0.7151 1.05 1.21 0.65
H -1.2453 -0.2458 3.5697 -0.54 -1.44 -1.10
H -1.5105 -2.0950 3.2924 -0.19 1.53 -0.62
H 0.6890 1.3071 2.1077 1.08 0.42 0.94
H 0.8001 1.9010 3.8697 1.11 -0.23 -1.37
C -0.9891 -8.6958 -1.0422 0.00 0.15 -0.14
C -1.0667 -7.7534 -0.0192 -0.01 0.16 -0.13
C -1.1566 -6.4001 -0.3246 0.02 -0.22 0.13
C -1.1571 -5.9836 -1.6561 0.04 -0.31 0.17
C -1.0549 -6.9259 -2.6798 -0.01 -0.20 0.31
C -0.9824 -8.2846 -2.3702 0.01 -0.12 0.20
C -1.0046 -6.4943 -4.0956 0.06 -0.66 -0.70
O -0.9190 -7.3169 -4.9905 -0.02 0.22 0.23
C -1.0512 -5.0475 -4.4059 0.02 0.35 -0.19
C -0.9471 -4.6222 -5.7308 0.00 0.22 -0.13
C -1.0032 -3.2657 -6.0329 -0.01 -0.18 0.15
C -1.1728 -2.3301 -5.0147 0.00 -0.14 0.14
C -1.2714 -2.7493 -3.6930 0.03 0.13 -0.20
C -1.2010 -4.1088 -3.3850 0.00 0.22 -0.29
C -1.2713 -4.5420 -1.9716 -0.11 0.59 0.65
O -1.4153 -3.7229 -1.0790 0.09 -0.14 -0.15
H -0.9281 -9.7526 -0.8031 -0.01 0.11 -0.04
H -1.0591 -8.0745 1.0172 -0.01 0.04 -0.11
H -1.2221 -5.6709 0.4765 -0.03 0.02 -0.22
H -0.9163 -9.0231 -3.1625 0.00 0.23 -0.01
H -0.8180 -5.3458 -6.5293 -0.04 -0.03 0.23
H -0.9168 -2.9370 -7.0635 -0.01 -0.05 0.11
H -1.2237 -1.2724 -5.2518 0.00 -0.11 0.04
H -1.3986 -2.0154 -2.9037 0.02 -0.22 0.00
C -6.8325 5.5892 -2.6275 0.13 0.02 0.15
C -5.8228 5.3573 -3.5589 0.15 0.00 0.16
C -4.4973 5.2851 -3.1457 -0.21 0.00 -0.16
C -4.1757 5.4568 -1.7991 -0.33 0.03 -0.18
C -5.1847 5.7133 -0.8701 -0.17 -0.05 -0.34
C -6.5158 5.7677 -1.2856 -0.11 -0.01 -0.21
C -4.8528 5.9465 0.5548 -0.67 0.17 0.66
O -5.7342 6.1663 1.3673 0.22 -0.05 -0.22
C -3.4335 5.9163 0.9738 0.34 0.04 0.22
~~~
• Here the text continues:
DeleteMerriam Webster on line has three definitions for diatribe, only one requiring bitterness:
ReplyDelete1 archaic : a prolonged discourse
2: a bitter and abusive speech or piece of writing
3: ironic or satirical criticism
I was thinking 3; however, I think one could make an argument that your discourse sounded bitter (as in, again from MW, "distasteful or distressing to the mind : galling") but I would not consider it abusive. So, I'll stick with 3, which is how I meant it.
Note also, that, of the 160 words I used, six at most attacked the tone of the piece ("Not entirely clear" and "somewhat rambling diatribe"). The rest of the 154 addressed content.
And, ironically, I largely agreed with you. Again. Even if I didn't sound like it (with the exception of thinking it was all Obama's doing alone). I sometimes wonder if you ever read past the first sentence or two of my comments.
If your first sentence contains the word "diatribe" then I tend to get closed-minded. Especially if it is about a post as well thought out and helpful as this one was.
DeleteI forgive you. And Obama is not alone in blame. All of them are.
DeleteO still, small voice of calm....
ReplyDeleteClams have no voices.
DeleteIf you were to keep quiet long enough you might find that they have. :)
DeleteWe are partially in agreement. I despise the spongers who feel they can just take handouts without ever contributing toward the funds they abuse.
ReplyDeleteI believe it makes sense to pay no more than the taxes you really must pay. To have advice as to what limits and exemptions you can claim makes sense.
I also believe in simple, fair, transparent taxes, a thing I'm pretty sure I'll never see in my lifetime. Here in Britain, anyway, it's almost impossible to figure out what I end up paying in taxes, I mean, I pay a chunk out of my wages before I even get them, that's called P.A.Y.E., (pay as you earn), but on top of that I pay National Insurance, which is mandatory, and therefore a tax, but on top of that, pretty much everything I buy has a form of purchase tax, called v.a.t. levied on top of it. V.A.T.. is a complex minefield, payable on goods and services, but at several different rates, food and some other things are exempt, except for some foods which are not...
I pay tax to have my car on the highway, I pay tax on the fuel I buy for it, and I pay tax on top of tax for that fuel... I mean, I pay a heap of my wage as tax already, then the fuel has a tax called fuel-duty upon it, then the fuel+fuel-duty has a tax called v.a.t. on top of it too.
I do feel I pay my share.
It pisses me off no end that my government squanders money in myriad ways that I have no say in. Overseas aid to countries that are so corrupt my tax money goes into rich men's swiss bank accounts. India and Pakistan get large lumps of aid from my government, yet both can afford nuclear missile programmes. As far as I'm concerned, I don't see why I'm expected to buy rice for their populations whilst their governments are buying titanium for missile airframes. If they've got the money for that, then they should use it instead of mine.
The good side? Well, I get a safety net. We all do. It's not perfect, but if things go really bad, I'll have food, a roof over my head, and a small income.
Yes, people exploit it. And I would like to see the loopholes closed, just as I'd like to see the exploiters closed out at the other end of the spectrum. Rich people who set up dummy offshore corporations, in order to legally avoid paying taxes. There are bad people at both ends, and one billionaire gaming the system is as abhorrent to me as thousands of poor folk doing the same.
Your "wealth creators", let's be honest, are not always the machine that drives prosperity for all. They're concerned about their wealth, not yours or mine. If screwing us makes them richer, they'll do it in the blink of an eye. If they can close down a manufacturing plant which keeps a couple of towns alive, and get a grant to build in Poland, or Cambodia, then manufacture there for 20% of the cost, they'll do it in a heartbeat.
Your philosophy seems to laud and admire the greedy, who'll trample over the backs of others to achieve their goal.
And above a certain point, the rich tend to gamble other people's moneys and livelihoods, with little risk to their own. Financial sector bonuses are obscene. Especially when companies that make losses still pay multi-million bonuses to the people who've lost other people's livelihoods, "too big to fail" and other nonsense.
I'm all for investment, and shared venture, but I'm not for bands of armed pirates and asset-strippers.
G.M., for instance is "rationalising" its global business. Part of that includes closing a U.K. plant and opening an eastern european one. Yes, to G.M. it's a good idea, because eastern europeans will work for turnips. You can imagine the people in Britain, who'll be unemployed, won't feel the same way.
Still, the good old shareholders, the creators of wealth, will approve. And, twenty years from now, when everything we buy comes from slave labour in china, and chinese billionaires own all those tall buildings in your U.S. cities, I wonder how good the deals of today will look then?
We probably need to just start over.
DeleteI watched the video, and I agree with you about the people in it. Sadly, I'd admit that I'd like to take all those people on a long trip to their own little island or wilderness, and say, there you are. there's shelter if you build it, wells if you dig them, and food if you cultivate it. Goodbye.
ReplyDeleteBut I'm sure even you don't imagine that all people on welfare are the same as these drug riddled vermin? And you're aware that it was carefully edited to give only the most extreme message?
I suspect Joe the doorman of being a mob enforcer.
No, even I don't imagine all welfare recipients are scammers. As for the video, the whole sarcastic point is that it was made by Nancy Pelosi's daughter. Nancy Pelosi, former Speaker of the House, who did the lion's share of getting our country into this financial mess.
DeleteWas it Joe the doorman? I thought it was Moe. Moe is better. :)
Wealth creators are the man and woman at the corner store who have 4 employees. The widow lady down the street who owns a laundry and dry cleaning store who employs 4 people full time and 2 people part time plus two delivery drivers. These are the people I know, not the stock brokers with bonuses. Maybe I should call them job creators instead of wealth creators. Anyway, they both have tax accountants. Most small businesses do. The accountant picks up the records every two weeks and does their taxes at the end of the year and tells them when to buy new fixtures and trucks. Like that. It is not dishonorable to arrange your affairs (rich or not so rich) to pay the lowest allowable tax. That's all I was saying. Maybe I am taking offense at the word "loophole" as if it were something sneaky. Anyway, it is still up to the government to write tax law and enforce tax law. Obama can stick his class warfare. He can get to work and cut off the bankers at the knees instead of yapping and whining about it.
ReplyDeleteOkay. We agree on more points then. Small to medium size business, where everybody knows everybody else's name, where there's a sense of responsibility, of common cause, indeed, of cause and effect.
ReplyDeleteAnd arranging your affairs, your purchasing and capital assets, your borrowing, your charitable giving, your whole cashflow to minimise the tax you pay, that's just good sense.
And it's not a loophole.
It's a matter of making yourself aware of the legislation regarding tax and not doing things that give you extra liabilities.
If I could figure out a way to pay less of my earnings to the government, believe me, I would.
As for your president, well, as I've said before, your electoral mechanism makes it virtually impossible for you to get as president any person who should be trusted with the job. Nobody's going to reach the White-House without compromising their ideals to the multi-billion funders, to the people who can make or ruin you with a twitch of their financial muscles.
Obama might be a disappointment, but hey, look on the bright side, so far he doesn't seem too keen to invade anywhere new.